By Philip Gray
Free-lance writer
What do Hitler, Alice Bailey, and Replacement Theology adherents have in common? Basically, the answer to that question is that in all three cases, they reject the Jews as God’s chosen people. Those who embrace Replacement Theology probably don’t realize that the thinking behind Replacement Theology is some of the thinking behind occultist Alice Bailey as well as Hitler when it comes to the Jews. Now we are not saying that people who adhere to Replacement Theology would want to kill the Jews as Hitler did; but Replacement Theology adherents need to understand that behind this view of the Jews lies a far more sinister aspect. Satan hates the Jews (partly because he knows God will use them in the culmination of things in the last days to end Satan’s days). That view of the Jews can start “innocently” by saying the Jews and Israel are no longer significant with regard to Bible prophecy. But it is not a far step from that thinking to anti-Semitism. Let’s just take a brief look at Alice Bailey and then Adolph Hitler and see what they thought about the Jews:
Consider these statements by Alice Bailey in her book The Externalization of the Hierarchy.
The force emanating from that section of humanity which is found in every part of the world and which we call the Jewish people. What I say here has no specific reference to any individual; I am considering the world problem, centering around the Jews as a whole. . . The Jew, down the ages, has insisted upon being separated from all other races but he brought over from the previous system the knowledge (necessary then but obsolete now) that his race was the “chosen people.” The “Wandering Jew” has wandered from System One to this where he must learn the lesson of absorption and cease his wandering. He has insisted upon racial purity . . . this insistence has been carried down the ages . . . When humanity has solved the Jewish problem (with the understanding cooperation of the Jew) and overcome ancient antipathies and hatreds, it will do so by fusing the problem in one vast humanitarian situation. When that happens, the problem will be rapidly solved and one of the major difficulties [i.e., the Jews as a people group] will disappear off the face of the earth. Racial fusion will then be possible. Our earth humanity and the group of human beings who are far more ancient in their origin than we are, will form one humanity and then there will be peace on earth. . . . .
The solution will come, as I said, when the races regard the Jewish problem as a humanitarian problem but also when the Jew does his share of understanding, love and right action. This he does not yet do, speaking racially. He must let go of his own separative tendencies and of his deep sense of persecution. (p.40-42, 1998 edition, Lucis Trust)
In other words, the Jews as a people should disappear off the face of the Earth!
As for Hitler, we know without a doubt that he did not consider the Jews God’s “chosen people.” Rather, he wanted to eliminate them from the face of the earth. But where did he come up with this demonic evil idea? While there are different factors involved in the answer to that question, Mike Oppenheimer provides the documentation to show what was perhaps the greatest influence on Hitler and his views about the Jewish people:
Hitler’s ideas about the Aryan race came from the Thule Society. Thule was supposedly a lost island inhabited by an ancient race that were “masters of wisdom” (much like the mythology of Atlantis or Lemuria and the spiritual hierarchy, the White Brotherhood today). Though unseen, they are a superior highly intelligent beings working behind the scenes (as Benjamin Crème states). Hitler believed he was in contact with them and that they gave him power and energy. Through his alleged contacts with this mythical superior race, he believed he was destined to lead the Aryans to rule the world. Hitler’s vision of the world was that Germany would unite the world under his leadership which would last for 1,000 years.
Constance Cumbey, in her book The Hidden Dangers of the Rainbow, summarized Hitler’s path to being Germany’s messianic figure: “While still a very young child, Hitler was initiated into the finer mysteries of the occult. He attended a Benedictine monastery school near his German home. “The occult interests Hitler gained in this school, stayed with him all of his adult life and helped to shape his future spiritual philosophy.” . . .
Hitler, Himmler and Goebbels were Catholic in their background before they indulged themselves into a new spiritual worldview. Occult books were some of Hitler’s favorite reading. It was in the early 1920s Dietrich Eckart introduced Hitler to The Secret Doctrine, by [Helen] Blavatsky. He was taught its secrets by Professor-General Karl Haushofer (Suster), who was a member of the Berlin Lodge of the Vril Society. One of the primary qualifications for one to be admitted to the Vril Society was to have a minimum ability in Blavatsky’s “Secret Doctrine.” Karl Haushofer was alleged to be a master of the secret doctrines espoused by Blavatsky, and it was he who initiated prisoner Adolf Hitler at Landsberg Prison. . . .
Cumbey notes: “Hitler rightly believed he had established communication with Lucifer, from whom he openly coveted possession” (Secrets of the Rainbow p.101). It should not be surprising to find that he was led to The Secret Doctrine that glorifies Lucifer.
The “Secret Doctrine” held that they originated in Atlantis and that one of the seven Atlantean races was that of the Aryans.” The Aryans were the master-race or supermen of the Atlantean races.” The myth of Aryan superiority was the basis for Hitler’s Nazism and ethnic cleansing of the Jews. . . .
Hitler seemed to have favored Blavatsky’s Secret Doctrine above other books he had. We do know that U.S. Army historians catalogued Hitler’s personal library and found numerous occultic volumes heavily annotated in Hitler’s fancy handwriting. Among the books was one that Hitler often kept by his bedside, the occult standard The Secret Doctrine by Madame Helen P. Blavatsky (Kubizek). (Adolf Hitler, The Occult Messiah, Gerald Suster, 1981).
Blavatsky not only claimed these masters were directing the work of the Theosophical Society but were also guiding the evolution of the human race throughout history. Thus Hitler found his place in the grand scheme of these masters. (“Hitler’s Spiritual Master – Maitreya,” Let Us Reason Ministries)
We can easily say that Helen Blavatsky shared a similar view about the Jews as Alice Bailey. In fact, Bailey probably got at least some of her antisemitic views from Blavatsky. In Blavatsky’s book The Secret Doctrine, she wrote:
Judaism, built solely on Phallic worship, has become one of the latest creeds in Asia, and theologically a religion of hate and malice toward everyone and everything outside themselves. (Blavatsky, H.P.. The Secret Doctrine (Kindle Locations 20502-20503). Chios Classics. Kindle Edition)
Blavatsky also said the Jews were “degenerate in spirituality” (Ibid. Kindle location 15961).
The point of this commentary is to show Christians, especially adherents of Replacement Theology, that occultic influences have worked their way into the church and altered the way Christians think about the Jews, Israel, and the Word of God. It’s tragic to think about Martin Luther and how he turned against the Jews in a most vehement manner (as can be read in his book, The Jews and Their Lies); then Hitler, centuries later, used the sentiments of Luther to convince the German people that the Jews were an inferior people so that he could more easily commit the horrendous atrocities against them. (Foxe’s Book of Martyrs, LT edition, endnote section)
In Mike Oppenheimer’s booklet, Israel: Replacing What God Has Not, he offers some valuable insights. In closing, here are two paragraphs from that booklet:
At a time when a clear and biblically sound understanding of Bible prophecy is most important, we find the church, paradoxically, having less knowledge of it, especially as it relates directly to Israel. Most evangelical Christians throughout history have supported the Jews and the modern state of Israel, but things are changing. The church, from its infancy, believed God had a future plan for Israel based on Scripture (e.g., Acts 3:19). This plan included the national restoration of Israel to the same land from which they were eventually dispersed. As time went on and the church drifted further and further away from her Jewish beginnings, many began to erroneously believe the church had replaced Israel. But in this day and age when we see biblical prophecy being fulfilled on such an unprecedented and unparalleled scale—with God’s continual protection and restoration of the Jews to their land, there should not be those who walk in disbelief with regard to God’s promises. But there are! . . .
God says that we are to bless them and not curse or turn against them. Of the Jew, Paul stated “unto them were committed the oracles of God” (Romans 3:2). Jesus Himself said that “salvation is of the Jews” (John 4:22). And though they have been dispersed throughout the world, God has blessed and prospered them wherever they went. We, therefore, owe a great debt to the Jewish people; and Israel is still Israel and will continue to have a special place in God’s heart and significance in the future of our planet. Remember, God has said of the Jew: “For thus saith the Lord of hosts; After the glory hath he sent me unto the nations which spoiled you: for he that toucheth you toucheth the apple of his eye” (Zechariah 2:8).
Thanks (not) to people like Neale Donald Walsch (Conversations with God author), who said in his book that sold millions of copies that Hitler did the Jews a favor by killing them, or people in the emergent church like Tony Campolo and Brian McLaren, who reject the notion that the Jews and Israel have any significance in the present day or the future, people’s (including many evangelicals and other Protestants) views of the Jews and Israel are fast changing. When you consider how antisemitism is growing throughout the world, as Christians, let us ask ourselves, “Are we to think as the world thinks? Are we to think as occultists think?” God forbid.
Related Information:
Alice Bailey, the Mother of the New Age Movement And Her Plans to “Revitalize” Christianity by Ray Yungen
'''
66
Lattice="11.1946 0.0000 0.0000 0.0000 8.3936 0.0000 -0.8168 0.0000 10.6630" Properties=species:S:1:pos:R:3 comment="Ta2ZnCuO7 PBE-GGA relaxed" formation_enthalpy_0k_ev_per_fu=-27.331 density_g_cm3=5.99 pbc="T T T"
Ta 0.2040 1.7714 0.3582
Ta -0.2045 6.6222 5.6897
Ta 3.1607 2.3714 7.5900
Ta 3.5692 6.0222 2.2585
Ta 3.6460 2.0705 1.2946
Ta 3.2376 6.3231 6.6261
Ta 7.1402 2.0705 4.0369
Ta 6.7317 6.3231 9.3684
Ta 6.8086 2.3714 8.4044
Ta 7.2170 6.0222 3.0729
Ta 10.5822 1.7714 4.9733
Ta 10.1738 6.6222 10.3048
Zn -0.6126 3.7260 7.9972
Zn -0.2042 4.6676 2.6657
Zn 3.8249 0.5662 4.5123
Zn 3.4165 7.8274 9.8438
Zn 6.9613 0.5662 0.8192
Zn 6.5528 7.8274 6.1506
Cu -0.6126 0.6733 7.9972
Cu -0.2042 7.7202 2.6657
Cu 2.9789 3.5044 4.4304
Cu 2.5704 4.8892 9.7619
Cu 7.8073 3.5044 0.9011
Cu 7.3989 4.8892 6.2325
O -0.0595 3.3211 1.2369
O -0.4679 5.0724 6.5684
O -0.1438 2.1172 6.7805
O 0.2646 6.2764 1.4490
O 0.3693 0.4424 4.1231
O -0.0392 7.9512 9.4546
O 2.0504 1.3183 0.6329
O 1.6419 7.0753 5.9643
O 2.0157 3.6003 8.4084
O 2.4242 4.7933 3.0769
O 2.9403 1.9652 5.7252
O 3.3488 6.4284 0.3937
O 2.9342 0.8165 8.5206
O 3.3426 7.5771 3.1891
O 3.5530 2.1809 3.1543
O 3.1446 6.2127 8.4857
O 3.8482 3.7478 0.5689
O 3.4398 4.6457 5.9004
O 4.9550 0.8670 0.7647
O 4.5466 7.5265 6.0962
O 4.9847 2.8246 7.9972
O 5.3931 5.5689 2.6657
O 5.8312 0.8670 4.5668
O 5.4227 7.5265 9.8983
O 6.9380 3.7478 4.7626
O 6.5295 4.6457 10.0941
O 7.2332 2.1809 2.1772
O 6.8248 6.2127 7.5087
O 7.0351 0.8165 7.4738
O 7.4436 7.5771 2.1423
O 7.0290 1.9652 10.2692
O 7.4374 6.4284 4.9378
O 7.9536 3.6003 7.5861
O 8.3620 4.7933 2.2546
O 8.7358 1.3183 4.6986
O 8.3274 7.0753 10.0301
O 10.4169 0.4424 1.2083
O 10.0085 7.9512 6.5398
O 10.1132 2.1172 9.2140
O 10.5216 6.2764 3.8825
O 10.8457 3.3211 4.0946
O 10.4372 5.0724 9.4261

20
Lattice="5.3933 0.0000 0.0000 0.0000 7.4334 0.0000 -1.1250 0.0000 5.5073" Properties=species:S:1:pos:R:3 comment="TaZn2CuO6 PBE-GGA relaxed" formation_enthalpy_0k_ev_per_fu=-19.625 density_g_cm3=7.09 pbc="T T T"
Ta 0.0000 0.0000 0.0000
Ta 0.0000 3.7167 0.0000
Zn -0.4386 1.8583 2.9980
Zn 1.5740 5.5750 5.1880
Zn 2.6943 1.8583 0.3193
Zn 4.7069 5.5750 2.5093
Cu 2.1342 0.0000 2.7536
Cu 2.1342 3.7167 2.7536
O 0.7354 5.5750 0.2003
O 0.5779 0.4340 1.8776
O 0.5779 3.2826 1.8776
O 0.5779 0.5533 4.6832
O 0.5779 3.1634 4.6832
O 1.3629 5.5750 3.1510
O 2.9054 1.8583 2.3562
O 3.6904 4.2700 0.8241
O 3.6904 6.8800 0.8241
O 3.6904 4.1507 3.6297
O 3.6904 6.9993 3.6297
O 3.5329 1.8583 5.3069

48
Lattice="7.7752 0.0000 0.0000 0.0000 9.2351 0.0000 -5.9593 0.0000 8.9600" Properties=species:S:1:pos:R:3 comment="Cu3TeO8 PBE-GGA relaxed" formation_enthalpy_0k_ev_per_fu=-9.198 density_g_cm3=4.61 pbc="T T T"
Cu -2.2377 0.7688 3.3956
Cu -5.2174 3.8487 7.8756
Cu -5.0084 0.7176 7.9385
Cu -2.0287 3.8999 3.4585
Cu 0.0897 5.3699 5.4923
Cu 3.0694 8.4827 1.0122
Cu -1.2535 0.7524 7.9478
Cu 1.7262 3.8652 3.4678
Cu 3.8446 5.3351 5.5015
Cu 6.8242 8.5175 1.0215
Cu 7.0332 5.3864 1.0844
Cu 4.0536 8.4662 5.5644
Te -0.6153 2.2254 1.2463
'''
Oprah Winfrey’s New Age “Christianity” (Part 2) – Neale Donald Walsch, “God,” and Hitler by Warren B. Smith
Biblically true. A well written and researched breakdown of replacement theology’s origin. Thank you.
Lighthouse Trails Editors
Obviously, we don’t agree with you on that Nathan.
To say that adhering to Replacement Theology is, “not a far step from anti-semitism,” is a ridiculous claim. The two have nothing to do with each other at all. You can adhere to Replacement Theology and love Israel and offer full support. Your claim is nothing more than an accusation of those who do not believe what you believe.
Discount the Bible… the role of Abraham, Isaac, and Jacob (Israel)… and we find ourselves without… assurance.
Do you have assurance of the One who has assurance of His full assurance in Himself?